Secret Surfing, Part 1

What is “Private Browsing?” is a question I receive from time-to-time.  People write that they were looking around in their browser and saw it.  In Google Chrome the same thing is named “Incognito Mode.”  In Internet Explorer, it is “InPrivate Browsing” and others have slightly different names. The Private browser settings are sometimes referred to…

IE Tab for Chrome

My friend, John and I were talking a couple of weeks ago about a geek hassle we have all faced.  Usually this happens at work but on occasion anywhere.  Some specific websites are designed to open and function properly in Microsoft Internet Explorer…only.  SharePoint seems to be one of the main offenders.  They may open…

Need Your Password?

This column will presuppose you have your browser set up to automatically save your websites’ passwords.  Some people do not but many do save their passwords in their browser so they can very quickly log into websites.  I use it in Google Chrome but you can do the same thing in all of the major…

Windows 10, Part 7

Today we will see how to change the Windows 10 default browser. I hear many people do not want to use the new Microsoft Edge browser (the replacement for MS Internet Explorer).  I have read online how hard it is to install the default browser either Google Chrome or Firefox, the two more popular browsers. …

Emailed Questions, Part 3

For the past two weeks I have answered questions which I regularly receive from readers.  There have been more emails so this week is part three of answers I have given and what I have suggested. Many people ask, “What is the best browser to use on a PC?”  This is an extremely hard question…

Chromebook Update

Over time I have received emails asking about Chromebooks.  I wrote about mine when I got it almost two years ago.  Since the emails keep coming there must be interest in them.  This is not hard to imagine since they are a very good deal for many people. Here is a very quick rundown of …

Windows 10, Part 2

Last week we looked at Windows 10 requirements and a few other housekeeping tasks regarding getting it for free.  Today a few questions I have received about it for the last several weeks are answered. First, why is it free for the first year?  The main reason seems to be that Microsoft wants everyone using…

**Records of crystals, as found in the file**
<<<
Record 1
Computed, not measured: crystalline ScSbIr at its relaxed geometry at the PBE-GGA level of DFT.

Calculated values
**Formation energy (no corrections)**: -0.222 eV per atom
**Calculated volume**: 61.84 Å³/cell
**Total moment**: 0.00 μB per formula unit

Unit cell a=3.2995 b=3.2995 c=6.5592 alpha=90.00 beta=90.00 gamma=120.00
Space group P3m1 (No. 156)
Asymmetric unit:
Sc  0.0000  0.0000  0.0000
Sb  0.3333  0.6667  0.6093
Ir  0.6667  0.3333  0.2794

Record 2
Computed, not measured: crystalline Sc2SbIr at its relaxed geometry at the PBE-GGA level of DFT.

Calculated values
**Formation energy (no corrections)**: -0.622 eV per atom
**Calculated volume**: 88.10 Å³/cell
**Total moment**: 0.00 μB per formula unit

Unit cell a=3.873 b=3.873 c=5.872 alpha=90.00 beta=90.00 gamma=90.00
Space group P4mm (No. 99)
Asymmetric unit:
Sc  0.000  0.000  0.000
Sc  0.500  0.500  0.333
Sb  0.500  0.500  0.825
Ir  0.000  0.000  0.426

Record 3
Computed, not measured: crystalline Sc2SbIr at its relaxed geometry at the PBE-GGA level of DFT.

Calculated values
**Formation energy (no corrections)**: -0.601 eV per atom
**Calculated volume**: 269.72 Å³/cell
**Total moment**: 0.00 μB per formula unit

Unit cell a=3.8352 b=3.8352 c=21.1741 alpha=90.00 beta=90.00 gamma=120.00
Space group R-3m (No. 166, hexagonal axes)
Asymmetric unit:
Sc  0.0000  0.0000  0.2365
Sb  0.0000  0.0000  0.0000
Ir  0.0000  0.0000  0.5000

Which formula does entry 1 have?
ScSbIr

* * * * *

(1)
Below is a relaxed structure of ErHfB, with properties calculated at the PBE-GGA level.

Computed properties:
Energy above the lowest structure with this stoichiometry in eV per atom: 0.000
E_tot in eV per cell: -21.01

Geometry as POSCAR:
```
ErHfB
1.0
0.000 3.040 3.040
3.040 0.000 3.040
3.040 3.040 0.000
Er Hf B
1 1 1
Direct
0.000 0.000 0.000 Er
0.500 0.500 0.500 Hf
0.250 0.250 0.250 B
```



(2)
Below is a relaxed structure of ErHfB4, with properties calculated at the PBE-GGA level.

Computed properties:
E_tot in eV per cell: -46.28

Geometry as POSCAR:
```
ErHfB4
1.0
3.193 0.000 0.000
-1.596 2.765 0.000
0.000 0.000 7.307
Er Hf B
1 1 4
Direct
0.000 0.000 0.000 Er
0.000 0.000 0.500 Hf
0.333 0.667 0.265 B
0.333 0.667 0.735 B
0.667 0.333 0.265 B
0.667 0.333 0.735 B
```



(3)
Below is a relaxed structure of ErHgB4, with properties calculated at the PBE-GGA level.

Computed properties:
Energy above the lowest structure with this stoichiometry in eV per atom: 0.201
E_tot in eV per cell: -30.46

Geometry as POSCAR:
```
ErHgB4
1.0
3.216 0.000 0.000
-1.608 2.785 0.000
0.000 0.000 7.857
Er Hg B
1 1 4
Direct
0.000 0.000 0.000 Er
0.000 0.000 0.500 Hg
0.333 0.667 0.236 B
0.333 0.667 0.764 B
0.667 0.333 0.236 B
0.667 0.333 0.764 B
```



(4)
Below is a relaxed structure of ErHgB4, with properties calculated at the PBE-GGA level.

Computed properties:
Energy above the lowest structure with this stoichiometry in eV per atom: 0.000
E_tot in eV per cell: -31.66

Geometry as POSCAR:
```
ErHgB4
1.0
-1.599 2.644 4.141
>>>

A Few Questions Answered

There are several things I have written about through the years which I get questioned about regularly.  I thought today we would look at a few that have evolved into something more as well as some that have vanished from the e-landscape. One of them was a site with some fun, soothing sounds.  It is…

What Should I Install?

I regularly receive questions concerning readers buying new computers.  They will usually ask what antivirus software they should install to keep everything protected.  I usually suggest one or two good antivirus applications.  Keep in mind I am only referencing Windows machines and, due to my frugal nature, free applications.  If you have a Windows 7…